_Material_
____________
Record 1
Here is HfPHO2 after structural relaxation from Alexandria. Energies are from PBE.

Unit cell a=3.9361 b=3.3510 c=3.9361 alpha=90.00 beta=90.00 gamma=90.00
Closest atoms and distances in Å follow each position.
Sites, in units of the cell vectors:
P 0.5000 0.5000 0.5000  8 O 2.58, 4 Hf 2.78
Hf 0.0000 0.5000 0.0000  2 H 1.68
O 0.0000 0.0000 0.5000  2 H 1.97
O 0.5000 0.0000 0.0000  2 H 1.97
H 0.0000 0.0000 0.0000  2 Hf 1.68

Results
Energy above the lowest structure with this stoichiometry = 0.534 eV/atom
Space group = No. 123

Record 2
Here is Rb2HfH2O4 after structural relaxation from Alexandria. Energies are from PBE.

Unit cell a=3.2058 b=6.2450 c=7.6503 alpha=114.35 beta=104.08 gamma=89.75
Closest atoms and distances in Å follow each position.
Sites, in units of the cell vectors:
Rb 0.1992 0.6388 0.2739  1 H 2.76, 4 O 2.94-3.08
Rb 0.8008 0.3612 0.7261  1 H 2.76, 4 O 2.94-3.08
Hf 0.0000 0.0000 0.0000  6 O 2.10-2.18
H 0.8724 0.1761 0.3402  1 O 0.98
H 0.1276 0.8239 0.6598  1 O 0.98
O 0.1663 0.1637 0.3239  1 H 0.98
O 0.8337 0.8363 0.6761  1 H 0.98
O 0.5015 0.7835 0.0002  2 Hf 2.10
O 0.4985 0.2165 0.9998  2 Hf 2.10

Results
Space group = No. 2

Record 3
Here is HfHRu2O after structural relaxation from Alexandria. Energies are from PBE.

Unit cell a=3.8783 b=4.4276 c=3.8783 alpha=90.00 beta=90.00 gamma=90.00
Closest atoms and distances in Å follow each position.
Sites, in units of the cell vectors:
Ru 0.0000 0.0000 0.5000  2 O 1.94
Ru 0.5000 0.0000 0.0000  2 O 1.94
Hf 0.5000 0.5000 0.5000  4 H 2.74, 8 Ru 2.94
O 0.0000 0.0000 0.0000  4 Ru 1.94
H 0.0000 0.5000 0.0000  2 O 2.21

Results
Space group = No. 123

Record 4
Here is HfSb2HO after structural relaxation from Alexandria. Energies are from PBE.

Unit cell a=5.8196 b=3.8639 c=5.8196 alpha=90.00 beta=90.00 gamma=90.00
Closest atoms and distances in Å follow each position.
Sites, in units of the cell vectors:
Sb 0.0000 0.0000 0.5000  2 Hf 2.91
Sb 0.5000 0.0000 0.0000  2 Hf 2.91
Hf 0.0000 0.0000 0.0000  2 O 1.93
O 0.0000 0.5000 0.0000  2 Hf 1.93
H 0.5000 0.5000 0.5000  8 Sb 3.49, 2 H 3.86

Results
Space group = No. 123

Record 5
Here is HfSnHO2 after structural relaxation from Alexandria. Energies are from PBE.

Unit cell a=4.1451 b=4.0198 c=4.1451 alpha=90.00 beta=90.00 gamma=90.00
Closest atoms and distances in Å follow each position.
Sites, in units of the cell vectors:
H 0.0000 0.5000 0.0000  2 Hf 2.01
Hf 0.0000 0.0000 0.0000  2 H 2.01, 4 O 2.07
Sn 0.5000 0.5000 0.5000  8 O 2.89, 4 H 2.93
O 0.0000 0.0000 0.5000  2 Hf 2.07
O 0.5000 0.0000 0.0000  2 Hf 2.07

Results
Space group = No. 123

Record 6
Here is SrHfH2O after structural relaxation from Alexandria. Energies are from PBE.

Unit cell a=3.9814 b=4.8140 c=3.9814 alpha=90.00 beta=90.00 gamma=90.00
Closest atoms and distances in Å follow each position.
Sites, in units of the cell vectors:
Sr 0.0000 0.0000 0.0000  4 H 1.99
Hf 0.5000 0.5000 0.5000  4 O 2.82, 8 H 3.12
O 0.0000 0.5000 0.0000  2 Sr 2.41
H 0.0000 0.0000 0.5000  2 Sr 1.99
H 0.5000 0.0000 0.0000  2 Sr 1.99

Results
Space group = No. 123

Record 7
Here is Sr2HfHO after structural relaxation from Alexandria. Energies are from PBE.

Unit cell a=4.5602 b=5.4312 c=4.5602 alpha=90.00 beta=90.00 gamma=90.00
Closest atoms and distances in Å follow each position.
Sites, in units of the cell vectors:
Sr 0.0000 0.0000 0.5000  2 H 2.28
Sr 0.5000 0.0000 0.0000  2 H 2.28
Hf 0.5000 0.5000 0.5000  4 O 3.22, 8 Sr 3.55
O 0.0000 0.5000 0.0000  2 H 2.72
H 0.0000 0.0000 0.0000  4 Sr 2.28

Results
Space group = No. 123

| no. | theoretical density (g cm⁻³) | size of the total moment (μB/cell) | final energy (eV/atom) |
| --- | --- | --- | --- |
| 1 | 7.8 | 0.00 | -5.913 |
| 2 | 5.1 | 0.00 | -6.290 |
| 3 | 9.9 | 0.00 | -7.280 |
| 4 | 5.6 | 0.59 | -5.462 |
| 5 | 7.9 | 0.00 | -6.945 |
| 6 | 6.2 | 0.93 | -4.589 |
| 7 | 5.5 | 1.97 | -3.884 |

----------

(1)
Compound: CrSnSe2
Source: Alexandria
Functional: PBE
Structure: optimized geometry

POSCAR file:
```
CrSnSe2
1.0
____________
_Brief_
Quote every line above that contains the word "SrHfH2O".
_Worked solution_
Here is SrHfH2O after structural relaxation from Alexandria. Energies are from PBE.